Brief =
Your job: search the material further down for the word "Entry" and print each line that has it.
Entries =
Entry 1:
60
Properties=species:S:1:pos:R:3:forces:R:3:lowdin_charge:R:1 method="wB97M-V/def2-TZVPD" largest_force_ev_per_a=3.23 relative_energy_ev=0.000 homo_energy_ev=-6.89 orbital_gap_ev=4.42 total_charge=0
F -3.1524 2.4807 1.4101 0.40 -1.49 -0.25 0.04
C -2.8613 1.1330 1.5134 0.05 0.75 0.07 -0.22
C -3.9128 0.2279 1.3724 0.48 0.00 0.24 0.09
C -3.6185 -1.0939 1.7119 -0.57 -0.47 0.00 -0.22
F -4.6502 -2.0063 1.7224 1.10 0.91 -0.23 0.05
C -2.3608 -1.5124 2.1044 0.43 0.09 0.24 0.07
C -1.2901 -0.5754 2.2130 -1.69 0.38 -0.34 -0.18
C -0.0766 -1.0634 2.8233 -0.31 -1.38 -0.55 0.07
C 1.2505 -0.5656 2.4834 1.85 0.63 0.68 -0.14
C 2.2706 -1.5452 2.2535 -0.86 0.21 0.09 0.07
C 3.4911 -1.1639 1.7187 0.69 -0.49 -0.01 -0.22
F 4.4536 -2.1362 1.5261 -1.10 1.10 0.11 0.05
C 3.8082 0.1557 1.3957 -0.57 -0.17 0.24 0.10
C 2.8328 1.1059 1.7135 0.34 0.76 0.02 -0.21
F 3.1231 2.4311 1.4488 -0.35 -1.47 0.38 0.04
C 1.6166 0.7957 2.3114 -0.49 -0.14 -0.08 0.06
C -1.5524 0.7717 1.8440 -0.19 -0.45 0.34 0.06
H -4.9074 0.5417 1.0499 0.35 -0.10 0.28 0.14
H -2.1865 -2.5603 2.3757 -0.25 0.50 -0.03 0.14
H -0.0385 -2.1358 2.9239 -0.14 0.10 -0.14 0.08
H 2.0723 -2.5990 2.4826 0.15 0.45 -0.18 0.13
H 4.7636 0.4290 0.9479 -0.32 -0.07 0.17 0.14
H 0.9446 1.5953 2.6531 0.57 -0.37 -0.35 0.13
H -0.7754 1.5298 1.9067 -0.51 -0.12 -0.04 0.11
C 0.5000 -5.0856 6.5127 0.04 -0.12 -0.01 -0.08
C 0.1889 -3.8129 5.7061 -0.33 0.03 0.35 -0.54
C 1.4723 -2.9776 5.6683 0.04 0.04 -0.05 -0.04
C -0.2380 -4.2905 4.3147 -0.04 -0.07 -0.08 -0.04
C -0.9516 -2.9871 6.3325 0.02 0.76 -0.65 -0.09
C -1.2595 -1.6494 5.8260 -1.69 -1.74 1.61 -0.25
O -0.6633 -1.1520 4.8009 2.05 2.20 -1.17 -0.10
C -2.2779 -0.8846 6.5579 0.60 -0.10 -0.92 -0.08
C -2.5394 0.6039 6.2366 -0.05 -0.42 0.12 -0.54
C -3.5549 1.2413 7.1921 -0.03 0.07 0.12 -0.08
C -3.1110 0.7196 4.8326 -0.08 -0.04 -0.35 -0.05
C -1.2319 1.3961 6.3422 0.06 -0.01 0.10 -0.04
C -3.0188 -1.5156 7.5392 0.05 -0.20 0.43 -0.06
C -2.7591 -2.8234 7.9395 -0.15 -0.09 0.06 -0.09
C -1.7140 -3.5279 7.3543 -0.17 -0.01 0.30 -0.06
H -0.3372 -5.7998 6.4752 0.26 0.21 0.13 0.08
H 1.3720 -5.5853 6.0653 -0.19 0.11 0.09 0.09
H 0.7434 -4.8595 7.5599 -0.08 -0.07 -0.24 0.09
H 1.3266 -2.0721 5.0788 0.13 -0.07 0.13 0.06
H 1.7428 -2.6825 6.6907 0.03 -0.05 -0.23 0.10
H 2.2907 -3.5705 5.2417 -0.02 0.09 0.07 0.08
H -0.6986 -3.4877 3.7361 0.06 -0.21 0.13 0.04
H 0.6318 -4.6910 3.7753 -0.21 -0.02 -0.05 0.09
H -0.9950 -5.0800 4.4235 0.21 0.15 -0.15 0.09
H -3.2279 1.1725 8.2386 -0.14 0.00 -0.20 0.09
H -3.6545 2.3063 6.9441 0.03 -0.18 0.02 0.08
H -4.5519 0.7898 7.0853 0.26 0.08 0.11 0.08
H -2.4206 0.2711 4.1253 -0.08 0.09 0.10 0.04
H -4.0602 0.1765 4.7552 0.03 0.15 0.04 0.10
H -3.2693 1.7719 4.5621 -0.05 -0.12 0.01 0.10
H -0.4966 1.0275 5.6225 -0.06 0.07 0.14 0.07
H -1.4314 2.4582 6.1560 0.09 -0.09 0.00 0.08
H -0.8217 1.2918 7.3550 0.01 0.07 -0.20 0.09
H -3.8185 -0.9682 8.0409 0.29 -0.20 -0.13 0.10
H -3.3667 -3.2862 8.7185 0.18 0.12 -0.21 0.10
H -1.4929 -4.5343 7.7144 -0.12 0.35 -0.09 0.10

***

Entry 2:
9
Properties=species:S:1:pos:R:3:forces:R:3:lowdin_charge:R:1 method="wB97M-V/def2-TZVPD" largest_force_ev_per_a=2.91 relative_energy_ev=2.601 homo_energy_ev=-9.45 orbital_gap_ev=10.17 total_charge=0
C -0.1664 -0.0315 0.9257 1.26 1.82 1.10 -0.30
C 0.8305 -0.0089 -0.2640 -0.48 -1.39 -0.28 -0.27
O -1.2799 -0.4379 -1.9510 -0.28 -1.92 -1.45 -0.44
O -1.3837 0.4975 0.3077 1.93 -0.02 -0.37 -0.35
S -0.6643 0.6076 -1.2137 0.23 2.63 1.23 0.89
H -0.4158 -1.0022 1.3566 0.39 0.30 0.36 0.11
H 0.3378 0.7738 1.6083 -1.67 -1.79 -0.32 0.13
H 1.7643 0.6492 -0.0302 -1.80 -1.29 -1.11 0.12
H 0.9776 -1.0477 -0.7393 0.42 1.66 0.85 0.11

***

Entry 3:
77
Properties=species:S:1:pos:R:3:forces:R:3:lowdin_charge:R:1 method="wB97M-V/def2-TZVPD" largest_force_ev_per_a=0.91 smiles="CCCN[C@H]1OS(=O)(=O)O[C@@H]1/C(I)=C(/C)I.O=C1c2ccccc2C(=O)c2ccccc21.O=C1c2ccccc2C(=O)c2ccccc21" homo_energy_ev=-9.03 orbital_gap_ev=7.98 total_charge=0
C 0.1139 -3.2071 1.9055 -0.12 0.03 -0.03 -0.12
C -0.0457 -1.9247 2.7302 0.17 -0.10 -0.12 -0.24
Worked solution =
Entry 1:
Entry 2:
Entry 3: